
  1. 运用文献资料法对CBA看台文化进行系统的研究。

    A systematic research on the CBA auditorium culture was made by literature reviews .

  2. 采用文献资料法、比较分析法对CBA和NBA的制衡机制进行比较,并对CBA的现状进行分析。

    With the method of documents and analysis , the paper compared the constraint mechanism of CBA with that of NBA .

  3. 采用文献资料法,对降钙素基因相关肽(CGRP)及其与运动心脏重塑的研究进行回顾和总结。

    Using the method of literature , it made a review and summary of calcitonin gene related peptide ( CGRP ) and exercise-induced cardiac remodeling .

  4. 运用文献资料法、专家调查、数理统计等方法,构建体育技术类课程多媒体CAI课件教学评价体系。

    This paper is an attempt to construct the evaluation system and criteria of CAI courseware intended for the technique-oriented PE class by such ways as reviewing related literature , consulting experts in this field of study and mathematical statistics .

  5. 采用文献资料法,总结和分析了ACE基因多态性与人体有氧代谢能力、肌肉力量及对人体运动能力机制等方面影响的研究成果。

## The page is interrupted by calculated molecules
Here is an isolated molecule of C17H14N6O2 at a distorted geometry from the OMol25 dataset. Energies are from wB97M-V/def2-TZVPD.

Each atom is followed by the atoms it is bonded to, with distances in Å.
Positions of all 39 atoms, in Å:
1 C -5.6750 -1.2222 0.1382  C2 1.495, H26 1.088, H27 1.087, H28 1.090
2 C -4.4222 -0.4063 0.1266  C1 1.495, C3 1.392, C25 1.392
3 C -4.0522 0.3552 1.2318  C2 1.392, C4 1.379, H29 1.080
4 C -2.8818 1.0848 1.2329  C3 1.379, C5 1.395, H30 1.078
5 C -2.0535 1.0665 0.1108  C4 1.395, C6 1.442, C24 1.395
6 C -0.8122 1.7993 0.1329  C5 1.442, N7 1.300, O23 1.359
7 N -0.3354 2.5226 1.1026  C6 1.300, N8 1.343
8 N 0.8683 2.9726 0.7138  N7 1.343, C9 1.290
9 C 1.0880 2.5115 -0.4707  N8 1.290, C10 1.492, O23 1.356
10 C 2.3087 2.6732 -1.3138  C9 1.492, O11 1.409, H31 1.099, H32 1.094
11 O 3.4823 2.2569 -0.6536  C10 1.409, C12 1.361
12 C 3.5553 0.9866 -0.1697  O11 1.361, C13 1.397, C22 1.389
13 C 4.6593 0.7036 0.6375  C12 1.397, C14 1.379, H33 1.078
14 C 4.8274 -0.5557 1.1751  C13 1.379, C15 1.385, H34 1.079
15 C 3.8942 -1.5534 0.9460  C14 1.385, C16 1.386, H35 1.078
16 C 2.7987 -1.2681 0.1461  C15 1.386, N17 1.400, C22 1.391
17 N 1.8369 -2.2610 -0.0772  C16 1.400, C18 1.358, N21 1.341
18 C 0.5275 -2.1587 -0.4238  N17 1.358, N19 1.305, H36 1.068
19 N 0.0250 -3.3614 -0.4965  C18 1.305, N20 1.329
20 N 1.0166 -4.1951 -0.1992  N19 1.329, N21 1.262
21 N 2.0848 -3.5722 0.0550  N17 1.341, N20 1.262
22 C 2.6316 -0.0157 -0.4354  C12 1.389, C16 1.391, H37 1.077
23 O 0.0546 1.7531 -0.9129  C6 1.359, C9 1.356
24 C -2.4199 0.3142 -1.0055  C5 1.395, C25 1.379, H38 1.081
25 C -3.5912 -0.4135 -0.9901  C2 1.392, C24 1.379, H39 1.080
26 H -6.1762 -1.1752 -0.8262  C1 1.088
27 H -6.3578 -0.8803 0.9116  C1 1.087
28 H -5.4307 -2.2663 0.3352  C1 1.090
29 H -4.6904 0.3713 2.1029  C3 1.080
30 H -2.5842 1.6724 2.0864  C4 1.078
31 H 2.1628 2.1324 -2.2590  C10 1.099
32 H 2.4738 3.7335 -1.5252  C10 1.094
33 H 5.3676 1.4939 0.8240  C13 1.078
34 H 5.6872 -0.7623 1.7928  C14 1.079
35 H 3.9983 -2.5383 1.3708  C15 1.078
36 H -0.0098 -1.2490 -0.5802  C18 1.068
37 H 1.7977 0.1439 -1.0982  C22 1.077
38 H -1.7875 0.3069 -1.8817  C24 1.081
39 H -3.8666 -0.9997 -1.8543  C25 1.080

Summary:
HOMO-LUMO gap: 9.11 eV
Maximum force: 0.0318 hartree/bohr
E_tot: -1135.181440 a.u.
Relative energy (zero: lowest compared OMol25 entry of this formula, charge and spin): 0.000 eV
SMILES: Cc1ccc(-c2nnc(COc3cccc(-n4cnnn4)c3)o2)cc1
E_LUMO: 0.0024 Ha
## So much for the calculated molecules

    Using the methods of literature summary , it summarized and analyzed the results of the researches on the effects of polymorphism of ACE gene on the aerobic metabolic capability of body , muscular strength , physical exercise ability etc.

  6. 结果专家-参考文献法、BAYES统计推断法、专家-测量资料法的对搪浆车间苯浓度评估的几何均数分别为100.0、16.9、33.2mg/m3,成型车间分别为100、156、115mg/m3。

    Comparing three methods of estimating concentration of worksite benzene Results The estimated averages of expert-reference , BAYES statistics and expert-measurement were 100.0,16.9,33.2 mg / m3 respectively for the slurry-applying workshop and 100,156,115 mg / m3 for the modeling workshop .

  7. 运用文献资料法和数理统计法,对世界优秀女子短跑运动员200m分段速度的特征及速度分配与成绩的关系进行了分析。

    Through literature and statistics analysis , this paper studies the speed variation in different stage and the relationship between the speed distribution and the competition results of world elite women '200m sprinters .

  8. 应用文献资料法、数理统计法和专家访谈法,对国内外400m运动员成绩进行了比较分析,揭示了我国400m跑成绩落后的原因。

- - -
Molecular formula: C47H60CuN3O3P2
Method: DFT, the ωB97M-V functional and the def2-TZVPD basis

Last column: Mulliken charge in e.
Atoms and positions in Å:
C 11.93303 -19.36948 -2.26903  0.171
H 11.59535 -20.01897 -4.27896  0.422
P 12.42579 -18.68557 0.34383  0.883
H 8.56082 -20.28085 2.73478  0.477
H 20.36011 -17.93772 3.30953  0.356
H 9.73124 -18.65965 1.63068  0.189
H 18.18257 -16.20897 -1.73611  0.730
H 16.36826 -21.89416 2.43842  -0.824
C 12.49899 -15.79622 0.47998  -1.026
O 15.35140 -21.90647 0.70709  -0.686
C 16.43974 -18.75413 2.98042  1.620
H 13.20402 -21.30358 1.34659  -0.064
C 18.59582 -16.25927 -0.68522  0.019
C 14.28859 -22.93614 -3.28100  -1.100
C 19.67908 -17.71561 2.49661  -1.243
C 19.56716 -16.49557 1.76144  -0.694
H 21.66625 -14.67183 0.11287  0.442
H 13.87085 -15.49117 -5.82022  0.393
H 16.03053 -20.00987 -3.56392  0.215
C 11.49644 -19.83154 1.32623  0.606
H 15.13897 -23.46824 -3.68726  0.398
H 18.23488 -19.17868 4.37125  0.235
H 19.71646 -16.88303 0.79482  0.326
H 16.57171 -19.88817 1.30028  -0.227
H 14.90394 -20.09750 2.50104  -0.323
H 17.67168 -20.54138 3.32782  0.111
H 17.60630 -14.28341 -0.21917  0.830
H 14.40525 -19.98275 -4.09280  0.204
C 20.10169 -15.75631 -0.82516  -0.073
C 13.73078 -14.74309 -3.85025  -0.765
C 15.10161 -22.44441 -0.53971  -1.179
H 12.21559 -15.88698 -0.58405  0.337
C 10.24278 -17.94560 -1.38569  -0.502
C 14.78298 -16.78720 -4.33714  -0.585
H 15.08909 -25.81049 4.91575  0.433
H 11.00003 -17.02416 1.40611  0.673
H 20.56313 -16.71847 -2.75267  0.334
H 15.71219 -17.79303 -2.69261  -0.014
C 15.20282 -20.66283 -3.82297  -0.979
C 17.66315 -17.29625 0.14467  -0.247
O 14.09574 -24.07210 1.67796  -0.638
H 9.30504 -19.08958 -4.42597  0.363
C 9.93114 -18.98422 -3.53721  -0.770
H 20.57519 -14.93502 -2.65012  0.366
N 14.77329 -21.65557 -2.79938  0.323
H 12.95602 -19.86681 -2.25411  -0.373
C 14.52053 -25.22427 4.17621  -0.979
C 15.07009 -23.71117 2.27785  0.718
N 15.39266 -24.12628 3.59099  0.157
H 15.94468 -23.04539 -0.76487  0.511
C 11.47093 -18.60723 -1.20275  0.337
H 15.12242 -17.57969 -5.09805  0.290
H 8.67582 -17.43510 -2.76921  0.406
C 20.83692 -14.33764 2.65657  -1.497
H 16.03611 -17.32906 4.49444  0.642
C 10.21685 -19.62219 1.70304  -0.272
H 13.74141 -23.51962 -2.53884  0.345
H 11.96815 -23.00264 2.48135  0.527
H 17.44460 -24.82083 3.82867  0.255
H 19.23327 -19.73669 2.29916  0.810
H 13.69215 -22.68474 -4.22268  0.362
H 21.81697 -14.14529 2.24092  0.360
C 15.00300 -19.20395 3.09131  -0.679
C 17.32937 -19.65995 3.90144  -1.573
Cu 14.64028 -18.77043 0.09428  3.574
H 12.56490 -17.25843 2.17495  0.587
C 14.77154 -15.95620 -2.02812  0.835
H 13.64763 -24.67113 4.59376  0.269
H 11.99355 -14.89786 0.91353  0.409
C 10.16067 -21.74488 2.73141  -0.730
H 14.18600 -15.47763 1.71093  0.417
C 14.01463 -15.40687 0.67171  -1.182
H 14.17870 -14.32949 0.43513  0.681
H 20.32844 -13.36513 2.81078  0.327
C 20.06873 -15.11202 1.59603  1.287
C 20.69812 -15.08831 0.21934  -1.096
H 16.77698 -19.85488 4.81579  0.530
- - -

    The paper , by using literature , mathematical statistics and interviews , analyzes the results of 400m between domestic and foreign athletes , and reveals the reasons why Chinese team lags behind .

  9. 主要采用文献资料法、专家访谈法和观察法对110m栏专项体能的概念、结构和特征进行了归纳和分析研究。

    Mainly by means of literature , experts interview and observation , this article analyzes the concept , the structure and the features of specialized physical power training of 110 meters hurdles .

  10. 采用文献资料法和实验法,研究了运用高强性间歇训练法运动时,机体的能源供给主要来源ATP-CP和有氧供能的能量;

    Through consulting documentation and experiential method , this paper makes a research on organic energy , which is mainly from ATP-CP and oxygen providing energy .

  11. 并采用文献资料法、调查法、观察法、数理统计法和逻辑分析法等研究方法,以2009年全国U-17青少年足球联赛为研究对象。

[Misplaced quantum chemistry results]
98
Properties=species:S:1:pos:R:3:lowdin_charge:R:1 method="wB97M-V/def2-TZVPD" relative_energy_kcal_mol=0.0 total_charge=+1 fmax_ev_per_a=2.5 orbital_gap_ev=6.83
C 0.09 -2.86 -1.27 0.002
C -1.24 -2.50 -1.82 -0.293
C -1.55 -2.64 -3.26 0.001
N -2.17 -2.02 -1.00 0.095
N -2.34 -0.67 -0.97 -0.118
C -1.79 0.05 -0.03 0.038
C -1.90 1.41 0.15 -0.231
N -1.26 2.09 1.16 0.158
C -2.68 2.05 -0.80 -0.096
C -2.84 3.54 -0.74 -0.054
C -1.61 4.17 -1.47 -0.120
O -0.92 3.11 -2.17 -0.155
C 0.47 3.28 -2.14 -0.084
C 1.13 2.26 -3.06 -0.583
F 0.29 1.22 -3.29 0.123
F 2.24 1.76 -2.51 0.138
F 1.42 2.77 -4.26 0.164
C -3.23 1.22 -1.79 -0.156
C -4.05 1.86 -2.90 -0.086
C -5.08 0.90 -3.55 -0.391
C -6.43 1.67 -3.65 -0.072
C -4.63 0.59 -4.99 -0.072
N -3.09 -0.08 -1.90 0.224
H 0.75 -2.03 -1.53 0.118
H 0.44 -3.79 -1.72 0.098
H 0.04 -2.96 -0.20 0.088
H -2.48 -3.19 -3.39 0.108
H -0.73 -3.11 -3.78 0.091
H -1.74 -1.64 -3.67 0.095
H -1.18 -0.50 0.68 0.151
H -0.60 1.52 1.67 0.108
H -1.91 2.56 1.79 0.119
H -2.77 3.84 0.30 0.114
H -3.73 3.90 -1.22 0.111
H -1.91 4.90 -2.22 0.136
H -0.90 4.58 -0.75 0.122
H 0.72 4.30 -2.43 0.148
H 0.87 3.13 -1.13 0.141
H -3.32 2.17 -3.65 0.133
H -4.59 2.71 -2.49 0.097
H -5.29 0.02 -2.96 0.117
H -6.99 1.51 -2.73 0.078
H -7.02 1.24 -4.45 0.079
H -6.25 2.73 -3.82 0.078
H -5.06 -0.32 -5.40 0.081
H -3.54 0.61 -5.09 0.067
H -4.98 1.42 -5.62 0.082
C -6.87 -1.97 2.94 -0.064
C -5.93 -1.23 1.99 -0.430
C -4.46 -1.25 2.44 -0.213
O -4.16 -0.35 3.49 -0.201
C -4.45 -0.82 4.80 -0.095
N -6.43 0.13 1.79 0.045
H -7.08 -1.39 3.84 0.068
H -7.83 -2.15 2.45 0.080
H -6.46 -2.93 3.23 0.082
H -5.97 -1.75 1.02 0.135
H -3.85 -0.92 1.60 0.094
H -4.14 -2.27 2.70 0.123
H -4.29 -1.90 4.88 0.094
H -5.48 -0.58 5.08 0.079
H -3.79 -0.32 5.49 0.088
H -5.86 0.59 1.08 0.057
H -6.24 0.66 2.64 0.071
C 7.06 2.54 -0.04 -0.065
C 5.61 2.11 -0.29 -0.429
C 5.32 0.66 0.13 -0.220
O 5.80 -0.32 -0.76 -0.193
C 7.17 -0.66 -0.60 -0.097
N 5.28 2.34 -1.69 0.050
H 7.74 2.12 -0.78 0.067
H 7.14 3.63 -0.11 0.078
H 7.39 2.24 0.95 0.081
H 4.97 2.75 0.33 0.134
H 4.24 0.53 0.15 0.114
H 5.68 0.46 1.15 0.110
H 7.48 -0.62 0.45 0.082
H 7.81 -0.01 -1.20 0.079
H 7.30 -1.68 -0.96 0.090
H 4.29 2.14 -1.83 0.037
H 5.75 1.63 -2.24 0.075
C 6.84 -2.26 3.08 -0.072
C 6.15 -3.39 3.84 -0.428
C 4.92 -3.94 3.12 -0.202
O 3.76 -3.12 3.20 -0.188
C 3.71 -2.06 2.27 -0.119
N 5.84 -2.93 5.20 0.042
H 6.30 -1.32 3.16 0.060
H 7.84 -2.08 3.50 0.081
H 6.96 -2.50 2.03 0.070
H 6.87 -4.21 3.92 0.138
H 4.64 -4.89 3.60 0.123
H 5.14 -4.18 2.07 0.120
H 4.16 -2.33 1.31 0.090
H 4.20 -1.17 2.68 0.070
H 2.66 -1.82 2.11 0.078
H 5.47 -3.71 5.73 0.075
H 5.05 -2.28 5.13 0.068


101
Properties=species:S:1:pos:R:3:lowdin_charge:R:1 method="wB97M-V/def2-TZVPD" relative_energy_kcal_mol=0.5 total_charge=+1 fmax_ev_per_a=3.6 orbital_gap_ev=7.44
Lu 13.81 8.06 11.75 1.758
C 12.69 11.79 16.13 -0.076
N 12.53 10.56 15.34 -0.163
C 11.13 10.05 15.48 -0.036
C 13.55 10.27 14.39 -0.367
N 13.34 10.04 13.07 -0.039
C 12.24 10.85 12.49 -0.220
C 12.44 11.28 11.05 -0.164

    By using research methods of documents , survey , observation , mathematical statistics and Logical analysis , the research object is the 2009 National U-17 Youth Soccer League .

  12. 采用教学实验法、文献资料法等,分析了在高校体育专业术科教学中运用MCAI教学方法,改进传统的由教师示范、讲解,学生模仿练习的单一的教学方式。

    Applying teaching experiment method and document etc in this paper , the paper have analyzed MCAI teaching method in college sport professional skill teaching , improved the unitary teaching way of which demonstrate by teacher , is explained and student imitates .

  13. 运用文献资料法、分析法和数理统计等方法,通过对第6、7届世界田径锦标赛女子400m决赛选手的全程和分段成绩进行分析,探讨了当今世界女子400m跑速度特征的发展趋势。

    By the means of documentary , statistic theoretical analysis , this article analyzes the time consumed in total and segments by 400-meter female runners in the 6th and 7th World Track and Field Championships . The characteristics and developing trend of the event are discussed .

  14. 运用文献资料法,针对我国田径项目的实际发展水平,对我国男女跳高、男子110m栏、女子中长跑及马拉松项目的训练特点进行归纳分析。

    Based on the method of documentation , aiming at the actual level of track and field development of China , this article analyzed and summed up the training characteristic of man and woman high jump 、 man 110m hurdle 、 woman middle-distance race and marathon .

  15. 文章运用文献资料法从历史的角度、现实的需要辩证地提出了2l世纪西方竞技体育文化将与中国武术保健体育文化融合,分析这二种不同文化融合的哲学原因和现实原因。

    Adopting documentation and from the angle of history and need of reality , this paper proposes that the 21st century western competitive sport culture will give way to the western health preservation sport culture and analyzes the reasons from aspects of philosophy and reality .

  16. 通过文献资料法和临场技术统计法,对2003年全国青少年网球排名赛第三、四站U-12女子单打比赛,分别从发球情况、得分方式、相持能力三方面进行临场统计。

    The author investigated the technical situation of serve , score means , stalemate capability on live indexes of U-12 female singles in nation wide young boys and girls competition put in order by tennis .

  17. 方法文献资料法、逻辑分析法。

    Methods By means of documents , data and logical analysis .

  18. [方法]文献资料法和专家访谈法。

    [ Methods ] Documents and expert interviews were adopted .

  19. 采用文献资料法、调查研究法、对比分析法和归纳分析法,对田径教学过程进行优化设计并对其结构进行分析。

    By literature , research , analysis , etc .

  20. 笔者通过运用文献资料法、教学实验法、数理统计法等。

    Through using the method of literature , teaching experiment , mathematical statistics etc. .

  21. 采用文献资料法、开放式调查法、问卷法、测量法、情境刺激法。

    Based on documentation , open investigation , questionnaire , measurement , situation stimuli .

  22. 通过文献资料法简述数字体育形成与发展的时代背景,对数字体育的概念和研究范围进行了界定。

    The paper tells the background of the digital sports formation and the development ;

  23. 本文运用问卷调查法、访谈法及文献资料法等研究方法。

    In this paper , using interview method , questionnaire survey and literature data method .

  24. 采用文献资料法和逻辑分析法对球场观众助威行为进行探讨。

    Based on the literature and logical analysis , the field spectator cheering behavior was studied .

  25. 为探讨现阶段我国大学生身体成分特征与运动能力及体质健康的关系,采用实验研究法,查阅文献资料法,数理统计法等。

    By experimental research method , looking-up literature method , mathematical and chemical statistics method , etc.

  26. 研究方法:文献资料法、模糊模型识别法、定性与定量相结合。

    Methods employed include documentation , fuzzy model recognition , integration of qualitative and quantitative technique .

  27. 摘要运用文献资料法和逻辑分析法,分析了课程资源的内涵。

    Through literature study and logical analysis , the paper analyzes the connotation of curricular resources .

  28. 利用文献资料法,统计法和分析法对2001-2004年我国竞技体操科研论文发展现状进行了统计分析。

    Analyze the current development of our gymnastics essays in2001-2004 by statistics , document and analyzing .

  29. 通过文献资料法查阅了有关女篮研究方面的文献、相关文件、法规和书籍。

    Through documentation of the inspection teams on the research literature , documents , regulations and books .

  30. 通过文献资料法、比较研究法对中日两国中学体育教学单元(项)计划及教案进行比较研究。

    This paper compares the P.E teaching unit plan in the middle schools of China and Japan .